• Exercise:
Duplicate all of the notes below word for word.
• Contents:
┌──
(1)
Starting from a GGA+U-relaxed structure, the powder diffraction line list of MnP2O7 was calculated for copper Kα.
Lines closer than 0.1° are merged.

Main lines, most intense first (2θ from 5° to 70°):
2θ 22.2, I = 100, hkl 1 0 1; 2θ 14.2, I = 86, hkl 0 0 2; 2θ 25.5, I = 77, hkl 1 0 2; 2θ 35.8, I = 38, hkl 1 0 4; 2θ 36.8, I = 25, hkl 1 1 0; 2θ 43.0, I = 21, hkl 1 1 3; 2θ 30.2, I = 19, hkl 1 0 3; 2θ 66.3, I = 17, hkl 3 0 0; 2θ 52.3, I = 17, hkl 2 0 4; 2θ 65.6, I = 13, hkl 2 1 4; 2θ 59.7, I = 12, hkl 1 2 2; 2θ 45.3, I = 11, hkl 2 0 2

Atomic structure:
a = 4.8866 Å, b = 4.8866 Å, c = 12.4328 Å
α = 90.00°, β = 90.00°, γ = 120.00°
Sites, in units of the cell vectors:
Mn: 0.0000 0.0000 0.0000
Mn: 0.0000 0.0000 0.5000
P: 0.3333 0.6667 0.1228
P: 0.3333 0.6667 0.3772
P: 0.6667 0.3333 0.6228
P: 0.6667 0.3333 0.8772
O: 0.0570 0.3429 0.0907
O: 0.0570 0.3429 0.4093
O: 0.2859 0.9430 0.0907
O: 0.2859 0.9430 0.4093
O: 0.3333 0.6667 0.2500
O: 0.3429 0.2859 0.5907
O: 0.3429 0.2859 0.9093
O: 0.6571 0.7141 0.0907
O: 0.6571 0.7141 0.4093
O: 0.6667 0.3333 0.7500
O: 0.7141 0.0570 0.5907
O: 0.7141 0.0570 0.9093
O: 0.9430 0.6571 0.5907
O: 0.9430 0.6571 0.9093

=====

(2)
Starting from a GGA+U-relaxed structure, the powder diffraction line list of LiMn2F6 was calculated for copper Kα.
Lines closer than 0.1° are merged.

Main lines, most intense first (2θ from 5° to 70°):
2θ 27.7, I = 100, hkl 1 1 1; 2θ 53.1, I = 42, hkl 0 3 2; 2θ 40.2, I = 35, hkl 3 0 1; 2θ 20.0, I = 34, hkl 1 1 0; 2θ 45.3, I = 21, hkl 2 2 1; 2θ 58.5, I = 16, hkl 1 4 1; 2θ 62.9, I = 16, hkl 3 3 0; 2θ 35.0, I = 8, hkl 3 0 0; 2θ 63.3, I = 8, hkl 1 1 3; 2θ 43.8, I = 7, hkl 1 1 2; 2θ 40.7, I = 4, hkl 2 2 0; 2θ 64.2, I = 4, hkl 4 2 0

Atomic structure:
a = 8.8689 Å, b = 8.8689 Å, c = 4.6746 Å
α = 90.00°, β = 90.00°, γ = 120.00°
Sites, in units of the cell vectors:
Li: 0.0000 0.0000 0.0000
Li: 0.3333 0.6667 0.4757
Li: 0.6667 0.3333 0.5243
Mn: 0.0000 0.3125 0.5000
Mn: 0.0000 0.6434 0.0000
Mn: 0.3125 0.0000 0.5000
Mn: 0.3566 0.3566 0.0000
Mn: 0.6434 0.0000 0.0000
Mn: 0.6875 0.6875 0.5000
F: 0.1053 0.5232 0.7277
F: 0.1088 0.2225 0.7529
F: 0.1137 0.8912 0.7529
F: 0.2117 0.7678 0.2651
F: 0.2225 0.1088 0.2471
F: 0.2322 0.4439 0.2651
F: 0.4179 0.8947 0.7277
F: 0.4439 0.2322 0.7349
F: 0.4768 0.5821 0.7277
F: 0.5232 0.1053 0.2723
F: 0.5561 0.7883 0.2651
F: 0.5821 0.4768 0.2723
F: 0.7678 0.2117 0.7349
F: 0.7775 0.8863 0.7529
F: 0.7883 0.5561 0.7349
F: 0.8863 0.7775 0.2471
F: 0.8912 0.1137 0.2471
F: 0.8947 0.4179 0.2723
└──
• Response:
(1)
Starting from a GGA+U-relaxed structure, the powder diffraction line list of MnP2O7 was calculated for copper Kα.
Lines closer than 0.1° are merged.

Main lines, most intense first (2θ from 5° to 70°):
2θ 22.2, I = 100, hkl 1 0 1; 2θ 14.2, I = 86, hkl 0 0 2; 2θ 25.5, I = 77, hkl 1 0 2; 2θ 35.8, I = 38, hkl 1 0 4; 2θ 36.8, I = 25, hkl 1 1 0; 2θ 43.0, I = 21, hkl 1 1 3; 2θ 30.2, I = 19, hkl 1 0 3; 2θ 66.3, I = 17, hkl 3 0 0; 2θ 52.3, I = 17, hkl 2 0 4; 2θ 65.6, I = 13, hkl 2 1 4; 2θ 59.7, I = 12, hkl 1 2 2; 2θ 45.3, I = 11, hkl 2 0 2

Atomic structure:
a = 4.8866 Å, b = 4.8866 Å, c = 12.4328 Å
α = 90.00°, β = 90.00°, γ = 120.00°
Sites, in units of the cell vectors:
Mn: 0.0000 0.0000 0.0000
Mn: 0.0000 0.0000 0.5000
P: 0.3333 0.6667 0.1228
P: 0.3333 0.6667 0.3772
P: 0.6667 0.3333 0.6228
P: 0.6667 0.3333 0.8772
O: 0.0570 0.3429 0.0907
O: 0.0570 0.3429 0.4093
O: 0.2859 0.9430 0.0907
O: 0.2859 0.9430 0.4093
O: 0.3333 0.6667 0.2500
O: 0.3429 0.2859 0.5907
O: 0.3429 0.2859 0.9093
O: 0.6571 0.7141 0.0907
O: 0.6571 0.7141 0.4093
O: 0.6667 0.3333 0.7500
O: 0.7141 0.0570 0.5907
O: 0.7141 0.0570 0.9093
O: 0.9430 0.6571 0.5907
O: 0.9430 0.6571 0.9093

=====

(2)
Starting from a GGA+U-relaxed structure, the powder diffraction line list of LiMn2F6 was calculated for copper Kα.
Lines closer than 0.1° are merged.

Main lines, most intense first (2θ from 5° to 70°):
2θ 27.7, I = 100, hkl 1 1 1; 2θ 53.1, I = 42, hkl 0 3 2; 2θ 40.2, I = 35, hkl 3 0 1; 2θ 20.0, I = 34, hkl 1 1 0; 2θ 45.3, I = 21, hkl 2 2 1; 2θ 58.5, I = 16, hkl 1 4 1; 2θ 62.9, I = 16, hkl 3 3 0; 2θ 35.0, I = 8, hkl 3 0 0; 2θ 63.3, I = 8, hkl 1 1 3; 2θ 43.8, I = 7, hkl 1 1 2; 2θ 40.7, I = 4, hkl 2 2 0; 2θ 64.2, I = 4, hkl 4 2 0

Atomic structure:
a = 8.8689 Å, b = 8.8689 Å, c = 4.6746 Å
α = 90.00°, β = 90.00°, γ = 120.00°
Sites, in units of the cell vectors:
Li: 0.0000 0.0000 0.0000
Li: 0.3333 0.6667 0.4757
Li: 0.6667 0.3333 0.5243
Mn: 0.0000 0.3125 0.5000
Mn: 0.0000 0.6434 0.0000
Mn: 0.3125 0.0000 0.5000
Mn: 0.3566 0.3566 0.0000
Mn: 0.6434 0.0000 0.0000
Mn: 0.6875 0.6875 0.5000
F: 0.1053 0.5232 0.7277
F: 0.1088 0.2225 0.7529
F: 0.1137 0.8912 0.7529
F: 0.2117 0.7678 0.2651
F: 0.2225 0.1088 0.2471
F: 0.2322 0.4439 0.2651
F: 0.4179 0.8947 0.7277
F: 0.4439 0.2322 0.7349
F: 0.4768 0.5821 0.7277
F: 0.5232 0.1053 0.2723
F: 0.5561 0.7883 0.2651
F: 0.5821 0.4768 0.2723
F: 0.7678 0.2117 0.7349
F: 0.7775 0.8863 0.7529
F: 0.7883 0.5561 0.7349
F: 0.8863 0.7775 0.2471
F: 0.8912 0.1137 0.2471
F: 0.8947 0.4179 0.2723